• What to do:
Next, set down everything further below character by character.

• Material:
/*
A relaxed Na8Zr3Si16SnH16O52 crystal, computed with PBE-GGA.

Geometry as POSCAR:
```
Na8Zr3Si16SnH16O52
1.0
7.618 -0.002 -0.006
-0.011 8.966 0.011
-0.453 -0.081 16.950
Na Zr Si Sn H O
8 3 16 1 16 52
direct
0.392 0.815 0.604
0.891 0.812 0.104
0.609 0.317 0.898
0.107 0.314 0.395
0.109 0.188 0.896
0.608 0.185 0.396
0.893 0.686 0.605
0.391 0.683 0.102
0.000 0.000 0.500
0.500 0.500 0.500
0.000 0.500 0.000
0.887 0.342 0.584
0.388 0.336 0.083
0.118 0.843 0.918
0.612 0.840 0.415
0.612 0.664 0.917
0.113 0.658 0.416
0.388 0.160 0.585
0.882 0.157 0.082
0.750 0.061 0.661
0.248 0.056 0.156
0.251 0.563 0.841
0.750 0.558 0.340
0.752 0.944 0.844
0.250 0.939 0.339
0.250 0.442 0.660
0.749 0.437 0.159
0.500 0.000 0.000
0.066 0.891 0.672
0.565 0.884 0.170
0.936 0.391 0.829
0.434 0.386 0.328
0.435 0.116 0.830
0.934 0.109 0.328
0.566 0.614 0.672
0.064 0.609 0.171
0.152 0.795 0.742
0.648 0.790 0.241
0.848 0.295 0.759
0.350 0.288 0.258
0.352 0.210 0.759
0.848 0.205 0.258
0.650 0.712 0.742
0.152 0.705 0.241
0.880 0.960 0.610
0.382 0.953 0.107
0.118 0.461 0.890
0.619 0.457 0.391
0.618 0.047 0.893
0.120 0.040 0.390
0.381 0.543 0.609
0.882 0.539 0.110
0.743 0.465 0.558
0.243 0.458 0.056
0.261 0.971 0.942
0.757 0.964 0.442
0.757 0.542 0.944
0.257 0.535 0.442
0.243 0.036 0.558
0.739 0.029 0.058
0.816 0.237 0.659
0.319 0.231 0.157
0.185 0.739 0.842
0.684 0.734 0.341
0.681 0.769 0.843
0.184 0.763 0.341
0.316 0.266 0.659
0.815 0.261 0.158
0.144 0.806 0.684
0.642 0.799 0.183
0.856 0.307 0.817
0.356 0.301 0.316
0.358 0.201 0.817
0.856 0.194 0.316
0.644 0.699 0.684
0.144 0.693 0.183
0.048 0.445 0.624
0.548 0.441 0.122
0.953 0.945 0.881
0.452 0.943 0.374
0.452 0.559 0.878
0.952 0.555 0.376
0.548 0.057 0.626
0.047 0.055 0.119
0.948 0.231 0.514
0.450 0.229 0.011
0.061 0.731 0.988
0.550 0.731 0.485
0.550 0.771 0.989
0.052 0.769 0.486
0.450 0.269 0.515
0.939 0.269 0.012
0.252 0.504 0.750
0.748 0.496 0.250
0.753 0.004 0.753
0.247 0.996 0.247
```

Output
- E_tot (eV/atom) = -6.86
- mass density (Mg/m³) = 2.69
- V (Å³/atom) = 12.1

A relaxed Na2TiSi4H4O13 crystal, computed with PBE-GGA.

Geometry as POSCAR:
```
Na2TiSi4H4O13
1.0
8.857 0.000 0.000
0.000 7.462 0.013
0.000 3.454 8.332
Na Ti Si H O
4 2 8 8 26
direct
0.189 0.788 0.197
0.689 0.712 0.803
0.811 0.212 0.803
0.311 0.288 0.197
0.000 0.500 0.000
0.500 0.000 0.000
0.661 0.302 0.160
0.161 0.198 0.840
0.339 0.698 0.840
0.839 0.802 0.160
0.941 0.094 0.315
0.441 0.406 0.685
0.059 0.906 0.685
0.559 0.594 0.315
0.112 0.400 0.334
0.612 0.100 0.666
0.888 0.600 0.666
0.388 0.900 0.334
0.205 0.412 0.482
0.705 0.088 0.518
0.795 0.588 0.518
0.295 0.912 0.482
0.761 0.154 0.317
0.261 0.346 0.683
0.239 0.846 0.683
0.739 0.654 0.317
0.539 0.182 0.103
0.039 0.318 0.897
0.461 0.818 0.897
0.961 0.682 0.103
0.780 0.430 0.022
0.280 0.070 0.978
0.220 0.570 0.978
0.720 0.930 0.022
0.553 0.430 0.235
0.053 0.070 0.765
0.447 0.570 0.765
0.947 0.930 0.235
0.038 0.286 0.212
0.538 0.214 0.788
0.962 0.714 0.788
0.462 0.786 0.212
0.500 0.500 0.500
0.000 0.000 0.500
0.198 0.465 0.364
0.698 0.035 0.636
0.802 0.535 0.636
0.302 0.965 0.364
```

Output
- E_tot (eV/atom) = -6.88
- mass density (Mg/m³) = 2.52
- V (Å³/atom) = 11.5

A relaxed Na2TiSi4H4O13 crystal, computed with PBE-GGA.

Geometry as POSCAR:
```
Na2TiSi4H4O13
1.0
7.432 0.000 0.000
0.000 7.432 0.000
0.000 0.000 10.874
Na Ti Si H O
4 2 8 8 26
direct
0.500 0.500 0.168
0.000 0.000 0.832
0.500 0.500 0.832
0.000 0.000 0.168
0.000 0.500 0.220
0.500 0.000 0.780
0.259 0.820 0.356
0.741 0.180 0.356
0.759 0.680 0.644
0.241 0.320 0.644
0.820 0.259 0.644
0.180 0.741 0.644
0.680 0.759 0.356
0.320 0.241 0.356
0.221 0.628 0.014
0.779 0.372 0.014
0.721 0.872 0.986
0.279 0.128 0.986
0.628 0.221 0.986
0.372 0.779 0.986
0.872 0.721 0.014
0.128 0.279 0.014
0.464 0.748 0.327
0.536 0.252 0.327
0.964 0.752 0.673
0.036 0.248 0.673
0.748 0.464 0.673
0.252 0.536 0.673
0.752 0.964 0.327
0.248 0.036 0.327
0.117 0.729 0.264
0.883 0.271 0.264
0.617 0.771 0.736
0.383 0.229 0.736
0.729 0.117 0.736
0.271 0.883 0.736
*/

• Outcome:
A relaxed Na8Zr3Si16SnH16O52 crystal, computed with PBE-GGA.

Geometry as POSCAR:
```
Na8Zr3Si16SnH16O52
1.0
7.618 -0.002 -0.006
-0.011 8.966 0.011
-0.453 -0.081 16.950
Na Zr Si Sn H O
8 3 16 1 16 52
direct
0.392 0.815 0.604
0.891 0.812 0.104
0.609 0.317 0.898
0.107 0.314 0.395
0.109 0.188 0.896
0.608 0.185 0.396
0.893 0.686 0.605
0.391 0.683 0.102
0.000 0.000 0.500
0.500 0.500 0.500
0.000 0.500 0.000
0.887 0.342 0.584
0.388 0.336 0.083
0.118 0.843 0.918
0.612 0.840 0.415
0.612 0.664 0.917
0.113 0.658 0.416
0.388 0.160 0.585
0.882 0.157 0.082
0.750 0.061 0.661
0.248 0.056 0.156
0.251 0.563 0.841
0.750 0.558 0.340
0.752 0.944 0.844
0.250 0.939 0.339
0.250 0.442 0.660
0.749 0.437 0.159
0.500 0.000 0.000
0.066 0.891 0.672
0.565 0.884 0.170
0.936 0.391 0.829
0.434 0.386 0.328
0.435 0.116 0.830
0.934 0.109 0.328
0.566 0.614 0.672
0.064 0.609 0.171
0.152 0.795 0.742
0.648 0.790 0.241
0.848 0.295 0.759
0.350 0.288 0.258
0.352 0.210 0.759
0.848 0.205 0.258
0.650 0.712 0.742
0.152 0.705 0.241
0.880 0.960 0.610
0.382 0.953 0.107
0.118 0.461 0.890
0.619 0.457 0.391
0.618 0.047 0.893
0.120 0.040 0.390
0.381 0.543 0.609
0.882 0.539 0.110
0.743 0.465 0.558
0.243 0.458 0.056
0.261 0.971 0.942
0.757 0.964 0.442
0.757 0.542 0.944
0.257 0.535 0.442
0.243 0.036 0.558
0.739 0.029 0.058
0.816 0.237 0.659
0.319 0.231 0.157
0.185 0.739 0.842
0.684 0.734 0.341
0.681 0.769 0.843
0.184 0.763 0.341
0.316 0.266 0.659
0.815 0.261 0.158
0.144 0.806 0.684
0.642 0.799 0.183
0.856 0.307 0.817
0.356 0.301 0.316
0.358 0.201 0.817
0.856 0.194 0.316
0.644 0.699 0.684
0.144 0.693 0.183
0.048 0.445 0.624
0.548 0.441 0.122
0.953 0.945 0.881
0.452 0.943 0.374
0.452 0.559 0.878
0.952 0.555 0.376
0.548 0.057 0.626
0.047 0.055 0.119
0.948 0.231 0.514
0.450 0.229 0.011
0.061 0.731 0.988
0.550 0.731 0.485
0.550 0.771 0.989
0.052 0.769 0.486
0.450 0.269 0.515
0.939 0.269 0.012
0.252 0.504 0.750
0.748 0.496 0.250
0.753 0.004 0.753
0.247 0.996 0.247
```

Output
- E_tot (eV/atom) = -6.86
- mass density (Mg/m³) = 2.69
- V (Å³/atom) = 12.1

A relaxed Na2TiSi4H4O13 crystal, computed with PBE-GGA.

Geometry as POSCAR:
```
Na2TiSi4H4O13
1.0
8.857 0.000 0.000
0.000 7.462 0.013
0.000 3.454 8.332
Na Ti Si H O
4 2 8 8 26
direct
0.189 0.788 0.197
0.689 0.712 0.803
0.811 0.212 0.803
0.311 0.288 0.197
0.000 0.500 0.000
0.500 0.000 0.000
0.661 0.302 0.160
0.161 0.198 0.840
0.339 0.698 0.840
0.839 0.802 0.160
0.941 0.094 0.315
0.441 0.406 0.685
0.059 0.906 0.685
0.559 0.594 0.315
0.112 0.400 0.334
0.612 0.100 0.666
0.888 0.600 0.666
0.388 0.900 0.334
0.205 0.412 0.482
0.705 0.088 0.518
0.795 0.588 0.518
0.295 0.912 0.482
0.761 0.154 0.317
0.261 0.346 0.683
0.239 0.846 0.683
0.739 0.654 0.317
0.539 0.182 0.103
0.039 0.318 0.897
0.461 0.818 0.897
0.961 0.682 0.103
0.780 0.430 0.022
0.280 0.070 0.978
0.220 0.570 0.978
0.720 0.930 0.022
0.553 0.430 0.235
0.053 0.070 0.765
0.447 0.570 0.765
0.947 0.930 0.235
0.038 0.286 0.212
0.538 0.214 0.788
0.962 0.714 0.788
0.462 0.786 0.212
0.500 0.500 0.500
0.000 0.000 0.500
0.198 0.465 0.364
0.698 0.035 0.636
0.802 0.535 0.636
0.302 0.965 0.364
```

Output
- E_tot (eV/atom) = -6.88
- mass density (Mg/m³) = 2.52
- V (Å³/atom) = 11.5

A relaxed Na2TiSi4H4O13 crystal, computed with PBE-GGA.

Geometry as POSCAR:
```
Na2TiSi4H4O13
1.0
7.432 0.000 0.000
0.000 7.432 0.000
0.000 0.000 10.874
Na Ti Si H O
4 2 8 8 26
direct
0.500 0.500 0.168
0.000 0.000 0.832
0.500 0.500 0.832
0.000 0.000 0.168
0.000 0.500 0.220
0.500 0.000 0.780
0.259 0.820 0.356
0.741 0.180 0.356
0.759 0.680 0.644
0.241 0.320 0.644
0.820 0.259 0.644
0.180 0.741 0.644
0.680 0.759 0.356
0.320 0.241 0.356
0.221 0.628 0.014
0.779 0.372 0.014
0.721 0.872 0.986
0.279 0.128 0.986
0.628 0.221 0.986
0.372 0.779 0.986
0.872 0.721 0.014
0.128 0.279 0.014
0.464 0.748 0.327
0.536 0.252 0.327
0.964 0.752 0.673
0.036 0.248 0.673
0.748 0.464 0.673
0.252 0.536 0.673
0.752 0.964 0.327
0.248 0.036 0.327
0.117 0.729 0.264
0.883 0.271 0.264
0.617 0.771 0.736
0.383 0.229 0.736
0.729 0.117 0.736
0.271 0.883 0.736